**Brief**
Your job: search the entries further down for the word "H14" and restate each line that has it.

**File**
____________
Record 1
Computed, not measured: a molecular structure, C15H32IN4O6Sr, with ωB97M-V/def2-TZVPD.

Element x y z (Å)
Sr1 -0.151 -1.118 -0.520
C1 0.963 -2.076 2.543
C2 2.386 -1.654 2.088
O1 2.193 -0.925 0.783
C3 3.411 -0.610 -0.048
C4 2.847 -0.227 -1.428
O2 2.007 -1.196 -1.976
C5 2.571 -2.461 -2.417
C6 2.309 -3.508 -1.370
O3 0.937 -3.402 -1.047
C7 0.480 -4.418 -0.133
C8 0.714 -4.083 1.314
O4 0.234 -2.739 1.525
H1 0.448 -1.158 2.890
H2 1.052 -2.861 3.348
H3 2.988 -2.553 1.903
H4 2.924 -1.043 2.789
H5 4.087 -1.492 -0.222
H6 3.966 0.162 0.402
H7 3.738 0.008 -1.993
H8 2.315 0.627 -1.289
H9 3.583 -2.343 -2.580
H10 2.085 -2.683 -3.357
H11 2.927 -3.341 -0.432
H12 2.561 -4.500 -1.701
H13 0.999 -5.356 -0.393
H14 -0.622 -4.452 -0.242
H15 1.753 -4.172 1.671
H16 0.083 -4.719 1.886
N1 1.495 3.244 1.406
C9 0.105 2.845 1.541
C10 -0.832 3.932 1.073
C11 -1.048 4.007 -0.440
C12 -2.228 3.201 -1.083
N2 -3.583 3.327 -0.498
C13 -4.204 2.361 0.144
N3 -3.675 1.153 0.387
N4 -5.454 2.553 0.670
C14 -0.100 1.567 0.723
O5 0.531 1.351 -0.330
O6 -0.980 0.689 1.055
H17 1.735 4.050 2.008
H18 1.673 3.357 0.436
H19 -0.184 2.627 2.571
H20 -0.439 4.877 1.463
H21 -1.766 3.749 1.600
H22 -0.126 3.596 -0.795
H23 -1.074 5.006 -0.746
H24 -1.860 2.152 -1.070
H25 -2.333 3.626 -2.139
H26 -4.030 4.217 -0.527
H27 -2.675 0.944 0.351
H28 -4.303 0.408 0.317
H29 -5.963 3.263 0.254
H30 -5.943 1.729 0.984
I1 -3.039 -2.513 -1.680
C15 -1.704 -1.107 -2.782
H31 -2.391 -0.342 -3.145
H32 -1.391 -1.574 -3.739

E_LUMO = -2.09 eV
largest force on an atom = 3.34 eV/A
relative energy (zero: lowest compared OMol25 entry of this formula, charge and spin) = 37.9 kcal/mol
spin multiplicity = 1
total charge = +1
molar mass = 578.97 g mol⁻¹

---

Record 2
Computed, not measured: 2 unconnected molecules or ions with the total composition CH6N3, with ωB97M-V/def2-TZVPD.

Element x y z (Å)
C1 -2.304 0.268 -0.168
N1 0.732 0.729 -0.179
N2 -1.550 -0.525 0.218
N3 1.193 -0.675 -0.044
H1 -3.191 0.782 -0.438
H2 0.159 0.927 0.569
H3 1.417 1.398 -0.116
H4 1.689 -1.216 -0.835
H5 0.195 -0.976 0.022
H6 1.661 -0.713 0.970

E_LUMO = -3.78 eV
largest force on an atom = 3.72 eV/A
relative energy (zero: lowest compared OMol25 entry of this formula, charge and spin) = 86.7 kcal/mol
spin multiplicity = 1
total charge = +1
molar mass = 60.08 g mol⁻¹

---

Record 3
Computed, not measured: a molecular structure, C9H23ClI2NP2Rh, with ωB97M-V/def2-TZVPD.

Element x y z (Å)
I1 -1.299 -1.214 2.108
I2 1.567 1.007 -1.921
Rh1 -0.845 0.198 -0.451
P1 -0.755 -1.813 -1.482
C1 0.638 -2.860 -1.056
C2 -2.260 -2.813 -1.175
H1 -2.266 -3.651 -1.888
H2 -0.927 -2.635 -3.745
H3 -3.151 -2.185 -1.326
H4 -1.510 -0.935 -3.617
H5 0.632 -3.088 0.013
H6 -2.248 -3.181 -0.142
C3 -0.730 -1.646 -3.307
H7 0.559 -3.788 -1.617
H8 0.249 -1.269 -3.625
H9 1.579 -2.366 -1.314
P2 -1.043 2.206 0.531
C4 0.230 2.677 1.711
C5 -1.095 3.546 -0.713
H10 -3.447 1.995 0.771
H11 -2.793 3.418 1.668
H12 -2.601 1.745 2.331
C6 -2.636 2.357 1.421
H13 -1.809 3.275 -1.505
H14 -1.418 4.470 -0.212
H15 -0.009 3.664 2.098
H16 1.209 2.712 1.221
H17 -0.097 3.670 -1.152
H18 0.269 1.966 2.543
Cl1 -2.840 0.646 -1.629
C7 4.128 -1.139 1.615
C8 2.932 -0.368 2.146
C9 1.793 -0.294 1.234
N1 0.858 -0.148 0.560
H19 3.889 -2.183 1.409
H20 4.912 -1.127 2.368
H21 4.533 -0.682 0.709
H22 2.574 -0.826 3.063
H23 3.227 0.658 2.358

E_LUMO (spin up / spin down) = -6.77 / -10.52 eV
largest force on an atom = 2.81 eV/A
relative energy (zero: lowest compared OMol25 entry of this formula, charge and spin) = 0.0 kcal/mol
⟨S²⟩ = 6.020
spin multiplicity = 5
total charge = +2
molar mass = 599.41 g mol⁻¹

---

Record 4
Computed, not measured: a molecular structure, C4H9NaO4Yb, with ωB97M-V/def2-TZVPD.

Element x y z (Å)
O1 1.775 1.728 -1.245
Yb1 2.218 -0.180 -1.378
O2 3.037 -0.963 0.201
C1 2.168 -1.334 1.178
O3 0.860 -0.751 1.022
C2 0.229 -1.093 -0.276
C3 -1.179 -0.586 -0.192
O4 -1.218 0.845 -0.227
C4 -2.518 1.383 -0.181
Na1 0.710 1.630 0.766
H1 2.492 -0.987 2.180
H2 2.018 -2.438 1.216
H3 0.152 -2.198 -0.310
____________

**Solution**
H14 -0.622 -4.452 -0.242
H14 -1.418 4.470 -0.212